EFSA's Methodological Limitations in Human Intervention Studies

Understanding EFSA's Methodological Limitations in Human Intervention Studies

Navigating the complex world of regulatory approval can be challenging, especially when it comes to understanding the concept of "methodological limitations" used by the European Food Safety Authority (EFSA). In this blog, we'll dive deep into what this term means, explore common examples, and provide insights to help you ensure your human intervention studies meet EFSA's high standards.


Table of Contents


What are Methodological Limitations?

Understanding methodological limitations is crucial for ensuring your study is taken seriously by EFSA. These limitations are essentially weaknesses in how a study is conducted.


Quality Issues in Study Delivery

Methodological limitations often stem from quality issues related to the delivery of a study. These can include various aspects of good clinical practice that are not adhered to.


Common Weaknesses

While no study is perfect, accumulating multiple weaknesses can undermine the study's credibility. EFSA frequently cites these limitations in both negative and positive opinions:

  • Statistical errors
  • Improper randomization
  • Inadequate sample sizes


Impact on Regulatory Approval

If a study has too many methodological limitations, it can significantly harm its chances of gaining regulatory approval. Ensuring these issues are addressed is vital for a successful submission.


Randomization and Blinding

Randomization and blinding are fundamental elements in the design of human intervention studies. They help ensure the study's credibility and reliability.


Importance of Randomization

Randomization involves allocating trial subjects to different intervention groups in a manner that prevents bias. This helps ensure balance between groups at the baseline.


Secure Randomization Procedures

Randomization should be conducted using a predetermined list, and the procedure must be secure. Keeping these details confidential is crucial for maintaining the study's integrity. It helps to:

  • Prevents bias
  • Ensures baseline balance
  • Maintains study integrity


Consequences of Poor Randomization

Lack of information on the randomization process can discredit a study. Imbalances at baseline can indicate either an inadequate sample size or a failure in the randomization process.


Uncontrolled Studies and EFSA's Hierarchy

EFSA has a clear hierarchy for evaluating human intervention studies, with randomized controlled trials at the top. Uncontrolled studies generally carry less weight.


EFSA's Study Hierarchy

Randomized controlled trials are considered the gold standard. Open-label studies without a comparator are usually discounted unless part of a larger package.


Examples of Unsuccessful Opinions

In a 2019 opinion on kidney bean extract for weight loss, three uncontrolled single-arm studies were included. EFSA dismissed these studies, stating no conclusions could be drawn from them.


Successful Opinions with Limitations

Even successful opinions can have limitations. For example, a 2021 opinion on green kiwi fruit and normal defecation included uncontrolled studies, but these were not considered in the overall review.


Population Selection Considerations

Choosing the right population for your study is crucial for ensuring its relevance and acceptability by EFSA. Careful consideration is needed to avoid common pitfalls.


General Population Focus

The EFSA health claims legislation primarily targets the general population and the maintenance of health within that group.

Studies involving inappropriate populations, such as those on pharmacological interventions, are generally not suitable for health claims.

Exceptional Circumstances

While studies in populations on pharmacological interventions are usually not accepted, there may be exceptional circumstances.

In such cases, the applicant must provide strong justification for the population's relevance to the health claim.

Next to the text, the page also holds data records:
+++
<A>
Ir3C | PBE | relaxed

Cell: 2.692 4.972 7.911 Å, 90.00 90.00 90.00°
Fractional positions:
1 Ir 0.000 0.000 0.000
2 Ir 0.000 0.500 0.305
3 Ir 0.000 0.500 0.695
4 Ir 0.500 0.000 0.305
5 Ir 0.500 0.000 0.695
6 Ir 0.500 0.500 0.000
7 C 0.000 0.000 0.500
8 C 0.500 0.500 0.500

## Properties
Calculated volume = 105.9 Å³ per cell
Symmetry = No. 65
Spin magnetization = 0.0 μB per formula unit

=====

<B>
Ir3C | PBE | relaxed

Cell: 3.920 2.751 5.126 Å, 90.00 108.24 90.00°
Fractional positions:
1 Ir 0.000 0.000 0.000
2 Ir 0.372 0.500 0.717
3 Ir 0.628 0.500 0.283
4 C 0.000 0.000 0.500

## Properties
Calculated volume = 52.5 Å³ per cell
Symmetry = No. 10
Spin magnetization = 0.0 μB per formula unit

=====

<C>
Ir3C | PBE | relaxed

Cell: 2.734 2.734 6.617 Å, 90.00 90.00 90.00°
Fractional positions:
1 Ir 0.000 0.000 0.000
2 Ir 0.500 0.500 0.299
3 Ir 0.500 0.500 0.701
4 C 0.000 0.000 0.500

## Properties
Calculated volume = 49.5 Å³ per cell
Symmetry = No. 123
Spin magnetization = 0.0 μB per formula unit

=====

<D>
Ir3C | PBE | relaxed

Cell: 4.012 4.012 4.012 Å, 90.00 90.00 90.00°
Fractional positions:
1 Ir 0.000 0.000 0.500
2 Ir 0.000 0.500 0.000
3 Ir 0.500 0.000 0.000
4 C 0.000 0.000 0.000

## Properties
Calculated volume = 64.6 Å³ per cell
Symmetry = No. 221
Spin magnetization = 0.0 μB per formula unit

=====

Most stable structure among those shown: <B>.

=====

This record from Alexandria via LeMat-Bulk describes an optimized crystal structure of PmFeCoGe2. The functional is PBE-GGA.

Cell: 5.8006 5.8006 5.8006 Å, 139.17 139.17 59.12°
Last column: nearest neighbours and their distance in Å.
Positions (direct):
Pm1 0.0000 0.0000 0.0000  8 Ge 3.16, 4 Fe 3.23, 4 Co 3.23
Fe1 0.2500 0.7500 0.5000  4 Ge 2.34
Co1 0.7500 0.2500 0.5000  4 Ge 2.34
Ge1 0.3667 0.3667 0.0000  2 Fe 2.34, 2 Co 2.34
Ge2 0.6333 0.6333 0.0000  2 Fe 2.34, 2 Co 2.34

Results
Its symmetry is No. 119. The calculation puts the total energy at -6.451 eV per atom. The value obtained for the formation energy from the elements is -2.70 eV/f.u.
+++
Back to the text:


Inclusion of populations undergoing pharmacological interventions can be a significant methodological limitation. It's often a step too far for EFSA's criteria.


Risks of Pharmacological Interventions

Including subjects on pharmacological interventions, such as drug therapies, can lead to immediate rejection from EFSA.

Examples include joint mobility studies with arthritis patients, which EFSA has dismissed outright.

Considerations for Blood Glucose Control

In specific contexts, such as blood glucose control, the inclusion of certain populations might be cautiously considered.

- - -
--- A ---
AcPr2Tm after structural relaxation, computed with PBE.

## Properties
total moment = 0.11 μB per atom

a b c (Å): 8.398 8.398 8.398
angles (deg): 90.00 90.00 90.00
Space group Fm-3m (No. 225)
Inequivalent atoms, fractional coordinates:
Ac  0.000  0.000  0.000 x4
Pr  0.250  0.250  0.250 x8
Tm  0.000  0.000  0.500 x4

--- B ---
AcPr2Tm after structural relaxation, computed with PBE.

## Properties
total moment = 0.00 μB per atom

a b c (Å): 7.403 10.400 3.766
angles (deg): 90.00 90.00 90.00
Space group Cmmm (No. 65)
Inequivalent atoms, fractional coordinates:
Ac  0.000  0.000  0.000 x2
Pr  0.250  0.250  0.500 x4
Tm  0.000  0.500  0.000 x2

On energetic grounds, B is preferred over the next structure by 137 meV/atom.

--- A ---
AcPr3Tm2 after structural relaxation, computed with PBE.

## Properties
total moment = 0.00 μB per atom

a b c (Å): 3.543 6.214 19.808
angles (deg): 90.00 90.00 90.00
Space group Immm (No. 71)
Inequivalent atoms, fractional coordinates:
Ac  0.000  0.000  0.000 x2
Pr  0.000  0.000  0.191 x4
Pr  0.000  0.500  0.000 x2
Tm  0.000  0.000  0.361 x4

--- B ---
AcPr3Tm2 after structural relaxation, computed with PBE.

## Properties
total moment = 0.00 μB per atom

a b c (Å): 11.621 7.230 11.606
angles (deg): 90.00 119.79 90.00
Space group C2/c (No. 15)
Inequivalent atoms, fractional coordinates:
Ac  0.000  0.004  0.250 x4
Pr  0.000  0.497  0.250 x4
Pr  0.167  0.253  0.084 x8
Tm  0.167  0.250  0.582 x8

On energetic grounds, B is preferred over the next structure by 293 meV/atom.

~~~~~

(1)
Computed, not measured: crystalline ScGa2Tc2 at its relaxed geometry at the PBE level of DFT.

Structure (CIF):
```
data_ScGa2Tc2
_space_group_name_H-M_alt 'I 4/m m m'
_space_group_IT_number 139
_space_group_name_Hall '-I 4 2'
_cell_length_a 4.472
_cell_length_b 4.472
_cell_length_c 9.121
_cell_angle_alpha 90.00
_cell_angle_beta 90.00
_cell_angle_gamma 90.00
loop_
_atom_site_label
_atom_site_type_symbol
_atom_site_fract_x
_atom_site_fract_y
_atom_site_fract_z
_atom_site_occupancy
Sc1 Sc 0.000 0.000 0.000 1
Ga1 Ga 0.000 0.500 0.250 1
Tc1 Tc 0.000 0.000 0.378 1
```

Density of states at the Fermi level: 1.1151 states/eV per atom
Final energy: -6.666 eV/atom
Energy relative to the elements: -0.042 eV/atom
M_tot: 0.0 μB/cell
Calculated volume: 18.24 A^3/atom

---

(2)
Computed, not measured: crystalline ScGa4Tc at its relaxed geometry at the PBE level of DFT.

Structure (CIF):
```
data_ScGa4Tc
_space_group_name_H-M_alt 'I m m m'
_space_group_IT_number 71
_space_group_name_Hall '-I 2 2'
_cell_length_a 4.723
_cell_length_b 5.604
_cell_length_c 7.402
_cell_angle_alpha 90.00
_cell_angle_beta 90.00
_cell_angle_gamma 90.00
loop_
_atom_site_label
_atom_site_type_symbol
_atom_site_fract_x
_atom_site_fract_y
_atom_site_fract_z
_atom_site_occupancy
Sc1 Sc 0.000 0.000 0.000 1
Ga1 Ga 0.000 0.236 0.332 1
Tc1 Tc 0.000 0.500 0.000 1
```

Density of states at the Fermi level: 0.4086 states/eV per atom
Final energy: -4.995 eV/atom
- - -

For instance, early-diagnosed, non-medicated type 2 diabetic subjects might be acceptable, but justification is key.

Pre-Diabetic Populations

Pre-diabetic populations are generally considered part of the general population and might be safer to include.

They are often more relevant for health maintenance claims and may face fewer hurdles.

Reviewing EFSA's Published Opinions

Reviewing EFSA's published opinions can provide valuable insights into their criteria and common pitfalls. This can guide the design of your own studies.


Learning from Rejected Claims

Examining rejected claims helps identify common methodological limitations that led to their dismissal.

For example, studies involving pharmacological interventions or inappropriate populations are frequently rejected.


Successful Claims Analysis

Analyzing successful claims can highlight best practices and acceptable methodologies.

Even successful opinions may have limitations, but understanding these can help refine your approach.

Practical Applications

Applying insights from EFSA's opinions can improve the chances of your study being accepted.

Ensure your study design aligns with EFSA's expectations and addresses potential methodological limitations.

Key Takeaways

  1. Understanding Methodological Limitations: Recognize and address common methodological issues such as statistical errors, improper randomization, and inadequate sample sizes to meet EFSA standards.
  2. Importance of Randomization and Blinding: Implement robust randomization and blinding techniques to ensure study credibility and avoid bias.
  3. Hierarchy of Study Designs: Prioritize randomized controlled trials over uncontrolled studies to meet EFSA's rigorous evaluation criteria.
  4. Population Selection: Focus on the general population and avoid pharmacological intervention groups unless strongly justified.
  5. Learning from EFSA Opinions: Review EFSA's published opinions to understand common pitfalls and best practices for study design.



Here are some frequently asked questions to help clarify common concerns regarding methodological limitations and EFSA's criteria.


What are methodological limitations?

Methodological limitations are weaknesses in how a study is conducted. These can include issues like statistical errors, improper randomization, and inadequate sample sizes.


Why is randomization important?

Randomization prevents bias by ensuring a balanced allocation of trial subjects to different intervention groups. This maintains the study's integrity and credibility.


Can uncontrolled studies be accepted by EFSA?

Uncontrolled studies generally carry less weight and are often discounted unless part of a larger package. Randomized controlled trials are preferred.


What populations should be avoided in EFSA studies?

Studies involving subjects on pharmacological interventions are usually not suitable for health claims. The focus should be on the general population and health maintenance.


How can I learn from EFSA's published opinions?

Reviewing both rejected and successful opinions can provide insights into common pitfalls and best practices. This helps in designing studies that meet EFSA's criteria.